== Exercise ==
Next, count the lines underneath that contain the word "method" and give the number alone.

== Contents ==
____________
Run P
17
Properties=species:S:1:pos:R:3 method="wB97M-V/def2-TZVPD" e_homo_ev=-8.61 smiles="C/C=C/CCN" spin_multiplicity=1
C -1.000 1.632 0.224
C -0.552 1.046 -1.044
C -0.275 -0.427 -0.956
C 0.826 -0.914 -0.269
C 0.967 -2.202 0.375
N 0.126 1.390 1.205
H -1.244 2.667 0.242
H -1.994 1.034 0.446
H -1.333 1.183 -1.913
H 0.429 1.541 -1.402
H -0.942 -1.113 -1.590
H 1.756 -0.132 -0.137
H -0.006 -2.538 0.165
H 1.625 -2.985 -0.121
H 1.370 -2.026 1.389
H 0.539 0.435 1.268
H -0.291 1.407 2.118



Run Q
17
Properties=species:S:1:pos:R:3 method="wB97M-V/def2-TZVPD" e_homo_ev=-9.08 smiles=CC[C@H]1CN1C spin_multiplicity=1
C -0.728 -1.670 1.640
C -1.168 -0.668 0.571
C -0.007 0.198 0.140
C 0.977 -0.314 -0.845
N 0.032 0.729 -1.211
C 0.639 2.042 -1.352
H 0.107 -2.281 1.277
H -0.391 -1.160 2.550
H -1.543 -2.346 1.919
H -1.550 -1.197 -0.310
H -1.989 -0.046 0.950
H 0.391 0.857 0.917
H 0.807 -1.284 -1.311
H 2.024 -0.035 -0.730
H -0.132 2.818 -1.327
H 1.153 2.097 -2.318
H 1.379 2.261 -0.561



Most stable: run Q (next structure +1.553 eV)



Run P
8
Properties=species:S:1:pos:R:3 method="wB97M-V/def2-TZVPD" e_homo_ev=-9.57 smiles="N=C=NON" spin_multiplicity=1
C -1.022 0.465 0.033
N 0.015 1.087 0.131
N -2.056 -0.062 -0.195
N 1.709 -0.337 -0.132
O 1.376 0.954 -0.024
H 1.510 -0.870 0.736
H -2.629 -0.555 0.378
H 1.097 -0.682 -0.927



Run Q
8
Properties=species:S:1:pos:R:3 method="wB97M-V/def2-TZVPD" e_homo_ev=-9.26 spin_multiplicity=1
C 0.331 0.515 0.808
N 0.183 0.390 2.218
N 1.096 1.452 0.348
N -0.406 -0.470 0.192
O 0.366 1.285 2.950
H -0.084 -1.007 -0.643
H 1.406 1.295 -0.598
H -0.519 -1.242 0.736



Run R
8
Properties=species:S:1:pos:R:3 method="wB97M-V/def2-TZVPD" e_homo_ev="-10.62 / -9.08" spin_multiplicity=1
C -0.866 -0.462 -0.027
N 0.283 -1.140 0.022
N -2.023 -0.979 -0.019
N 2.649 -0.782 -0.011
O 1.576 -0.078 -0.013
H -0.567 0.691 0.064
H -2.812 -0.348 0.075
H 3.335 -0.082 -0.275



Most stable: run Q (next structure +1.697 eV)



Run P
6
Properties=species:S:1:pos:R:3 method="wB97M-V/def2-TZVPD" e_homo_ev=-9.16 smiles="[O-]/[NH+]=C/F" spin_multiplicity=1
C -0.117 0.324 0.592
N 0.053 -0.341 -0.475
O -0.611 -0.367 -1.594
F 0.876 0.398 1.454
H -0.994 1.104 0.506
H 0.793 -1.117 -0.482



Run Q
6
Properties=species:S:1:pos:R:3 method="wB97M-V/def2-TZVPD" e_homo_ev=-10.41 spin_multiplicity=1
C -0.035 -0.308 -0.008
N 0.998 0.315 0.044
O -1.148 -0.777 -0.006
F -3.517 0.293 0.027
H 2.463 1.090 0.351
H -3.562 -0.683 -0.069



Most stable: run P (next structure +1.058 eV)



Run P
20
Properties=species:S:1:pos:R:3 method="wB97M-V/def2-TZVPD" e_homo_ev="-7.71 / -8.13" smiles="C=S(=O)=C(CC)CC" spin_multiplicity=1
C -0.541 1.236 -1.507
C 0.214 0.176 0.643
C 1.926 -1.021 -0.828
C -2.282 0.049 1.009
C 1.588 -0.263 0.523
C -0.931 -0.711 0.941
O 1.084 2.650 -0.101
S -0.185 1.930 0.031
H 0.199 1.315 -2.332
H -1.435 0.764 -1.606
H 1.039 -1.551 -0.996
H 2.679 -1.824 -0.870
H 2.123 -0.302 -1.505
H -2.547 0.184 0.008
H -2.217 1.043 1.379
H -3.094 -0.472 1.348
H 2.261 0.654 0.553
H 1.844 -0.948 1.425
H -0.866 -1.543 0.121
H -0.858 -1.367 1.765



Run Q
20
Properties=species:S:1:pos:R:3 method="wB97M-V/def2-TZVPD" e_homo_ev=-8.55 smiles="CC(C)=C(CO)CS" spin_multiplicity=1
C 2.533 0.281 -0.343
C 1.226 -0.460 0.123
C 1.473 -1.829 -0.254
C 0.130 -0.057 0.898
C -1.046 -0.748 1.055
C -0.061 1.515 0.699
H 2.874 -0.050 -1.229
H 3.370 0.243 0.351
H 2.426 1.396 -0.292
H 0.419 -2.475 -0.277
H 1.861 -1.625 -1.298
H 2.009 -2.705 0.441
H -1.881 -0.380 1.822
H -0.857 -1.793 1.079
H -3.443 -0.064 -0.251
H -1.075 1.648 1.198
H 0.713 1.974 1.311
H -0.878 2.160 -0.971
O 0.001 2.237 -0.555
S -1.942 -0.527 -0.657



Most stable: run Q (next structure +0.631 eV)



Run P
15
Properties=species:S:1:pos:R:3 method="wB97M-V/def2-TZVPD" e_homo_ev=-7.99 spin_multiplicity=1
C 0.682 1.186 -2.602
C -0.290 0.049 0.452
C -0.987 0.350 1.671
C 0.510 -1.229 0.631
H 0.918 0.554 -3.657
H -0.315 1.940 -2.511
H 1.882 1.516 -2.112
H -1.445 1.198 2.143
H -1.811 -1.117 2.895
H 0.503 -2.022 -0.154
____________

== Done ==
10